Sat 6 Jan 2007
CRIME FICTION IV: A Comprehensive Bibliography, 1749-2000, Revised,by Allen J. Hubin
Computed, not measured: a structure of composition C34H31N5PbSSi at a distorted geometry, with wB97M-V/def2-TZVPD.

```
73
Properties=species:S:1:pos:R:3:forces:R:3:lowdin_charge:R:1
Pb -0.434889 -1.141939 0.835354 -0.378 -0.939 0.116 0.88
C 2.164672 -1.662129 3.480508 -0.060 -0.250 0.244 -0.14
N 2.066130 -2.735949 2.537712 -0.315 0.213 -0.349 -0.06
C 3.102774 -2.938515 1.565799 0.106 -0.257 0.043 -0.15
C 3.064663 -2.204637 0.251306 0.061 0.048 -0.110 -0.30
N 2.185001 -1.356079 -0.199532 0.199 0.068 0.579 0.07
C 2.558888 -1.061034 -1.495704 0.743 -0.388 -0.393 -0.22
C 1.963268 -0.255594 -2.459256 0.046 -0.106 0.047 -0.01
C 2.592701 -0.148755 -3.680804 -0.143 0.122 -0.067 -0.08
C 3.768833 -0.838861 -3.970848 0.072 -0.107 -0.025 -0.09
C 4.351892 -1.684249 -3.048590 0.129 -0.053 0.032 -0.03
C 3.737059 -1.775303 -1.809726 -0.431 0.391 -0.223 -0.19
N 4.030681 -2.493156 -0.674504 0.088 -0.131 0.115 0.15
C 1.792144 -0.246005 3.135688 0.273 0.031 0.008 -0.28
N 0.775047 0.204531 2.443090 0.003 -0.478 -0.006 0.02
C 0.711319 1.567720 2.673586 0.497 0.625 0.546 -0.21
C -0.213849 2.535191 2.296644 0.106 -0.078 0.171 -0.02
C -0.019464 3.823605 2.748307 -0.147 -0.024 -0.104 -0.06
C 1.071004 4.172904 3.547129 0.106 -0.017 0.057 -0.08
C 1.998965 3.230334 3.941712 0.032 0.038 0.043 -0.02
C 1.786032 1.930157 3.512036 -0.576 0.236 -0.350 -0.18
N 2.443683 0.755011 3.779415 0.087 -0.180 -0.075 0.17
H 1.499280 -1.923041 4.314945 0.140 0.066 0.020 0.14
H 3.187573 -1.651831 3.871557 -0.071 0.029 0.063 0.12
H 1.134483 -2.816107 2.146289 0.037 -0.220 0.081 0.03
H 4.070825 -2.737079 2.042849 -0.073 -0.073 -0.032 0.13
H 3.093686 -4.011479 1.314566 0.142 0.201 0.007 0.13
H 1.039633 0.262742 -2.272730 -0.142 0.105 0.052 0.09
H 2.154077 0.482950 -4.435911 -0.060 0.083 -0.125 0.11
H 4.220307 -0.722622 -4.943612 0.052 -0.012 -0.109 0.10
H 5.239399 -2.251812 -3.288485 0.091 -0.001 -0.003 0.11
H 4.791841 -3.142357 -0.557653 -0.103 0.071 0.005 0.16
H -1.072760 2.285963 1.702348 -0.183 -0.029 -0.044 0.05
H -0.742868 4.579115 2.481116 -0.025 0.080 -0.035 0.11
H 1.175169 5.194543 3.879951 0.042 0.081 -0.001 0.10
H 2.840506 3.486645 4.569244 0.021 0.038 0.061 0.11
H 3.247721 0.641812 4.372317 -0.040 -0.039 -0.009 0.17
C 1.350801 4.367314 -1.661901 0.132 0.037 0.038 -0.09
C -0.003811 4.471192 -1.926521 -0.011 0.135 -0.143 -0.09
C -0.855458 3.441469 -1.574856 -0.187 -0.017 0.001 -0.11
C -0.392820 2.307228 -0.918593 0.037 -0.418 0.383 -0.35
C 0.970194 2.233396 -0.644938 -0.051 -0.008 0.015 -0.16
C 1.839818 3.238568 -1.025411 0.221 0.055 -0.028 -0.08
Si -1.600266 0.918434 -0.389936 -0.285 0.848 -1.089 0.54
C -2.188427 0.277544 -2.090546 0.142 -0.237 0.485 -0.35
C -3.071214 1.013905 -2.873057 -0.080 0.180 0.064 -0.12
C -3.439774 0.596498 -4.138486 -0.087 0.061 -0.123 -0.09
C -2.940577 -0.588944 -4.650149 0.084 -0.087 -0.070 -0.10
C -2.084363 -1.355122 -3.878061 0.037 -0.178 -0.171 -0.09
C -1.714791 -0.920532 -2.617405 0.135 -0.108 0.148 -0.15
The quantum chemistry results stop here >
Posted by Steve under Crime Fiction IVNo Comments
The book has not been published yet, at least not the revised edition. The manuscript was turned in sometime in middle of last year, but so far no date’s been set as to when it’s going to appear. When the Fourth Edition came out in 2003, the end date for the material covered was the year 2000. This is also when Al Hubin then began to look for someone to take over the task of editor and make sure that further editions would continue to appear. But when no takers were found, the decision was made that there would be no Fifth Edition.
Corrections and additions to the data in Crime Fiction IV continued to come in, however, and Al found himself unable to retire, as he’d planned, and the Revised Edition was the result. Rather than expand the bibliography chronologically, however, the cut-off date remained fixed at the year 2000.
Al was ready to retire again, but there was no end to the incoming flow of data, even with the closing date of 2000. He and I discussed this, and the upshot was he would continue to accumulate this addenda, but again only through 2000, and I would publish it on-line.
To that end, he has been sending me this addenda in parts, with eight such installments already on line at In his introduction to the addenda pages, Al fills in more of the details about the bibliography over the years, how it got started and how it grew.
As to my end, I’ve been taking advantage of the Internet, and as I go, I have been adding links and cover images not available in the printed editions. Links have been made to websites about the authors cited, and especially to for every movie that Al has added as being based on a novel included in Crime Fiction IV.
# Here the page breaks off for records of molecules
- - -
ORCA calculation (ωB97M-V/def2-TZVPD) on C3H2IN5O2 in the gas phase.

The geometry in XYZ format:
```
13
Properties=species:S:1:pos:R:3:forces:R:3
O 1.698638 2.174561 0.306352 0.1 0.0 -0.1
N 0.712940 2.771939 0.325538 -0.1 -0.1 0.2
O -0.228208 2.283035 -0.698598 0.1 -0.1 -0.1
C -1.077037 1.306371 -0.116228 -0.1 0.1 0.1
C -0.429146 -0.053290 -0.059769 -0.1 -0.1 0.0
N -0.055828 -0.611322 -1.215594 -0.1 0.1 0.0
N 0.511377 -1.781318 -1.168497 0.1 -0.1 0.0
C 0.664785 -2.334527 0.038552 -0.1 0.2 0.0
I 1.595984 -4.175084 0.114685 0.1 -0.1 0.0
N 0.254916 -1.811450 1.186176 0.1 -0.2 0.0
N -0.307798 -0.628214 1.131346 0.0 0.2 0.0
H -1.372535 1.586465 0.899378 0.0 0.0 0.0
H -1.968091 1.272834 -0.743341 0.1 0.0 0.0
```
Forces are in eV/Å.

## Properties
2S+1: 1
- - -
Much of the Addenda included in parts 1 and 2 consists of connections to TV films, which had largely been neglected in early editions of CFIV. Using, Leonard Mustazza’s The Literary Filmography and Alvin H. Marill’s Movies Made for Television as sources, many such TV movies have been identified and are now included.
Now in their enhanced form, and Internet-ready, as it were, Parts 1 and 2 have now been merged alphabetically in two sections, A through H and I through Z. I am now working on Part 3.
While the Addenda is hardly intended to replace the full Bibliography, my goal is also to have it stand on its own, as much as possible. To that end, I have been annotating some of the entries, especially when the authors are less well known. There is nothing I need to add to an entry of an author of the stature of Agatha Christie, for example. A link to one of the many websites about her should certainly suffice.
But for an author such as the following, the entry looks like this:
Her Hidden Husband. Thomson, 1927 [England]
-In a Gilded Cage. Skeffington, 1919
-The Master of Red House. Skeffington, 1919

If possible, every entry might look like this, but it’s not, and they don’t, not yet. But if you’re even only mildly interested in the bibliography of crime fiction, please feel free to stop by, browse around, and see what is there.